1. Create a Microsoft Word document named "your name - your student number - code and screenshots.docx" and enter details into it as described throughout this document.
2. Create a folder in the top level of the public directory of your Webhost account and name it your given name (e.g. jimmy). Your assignment submission should be in that folder.
3. All pages you create in this assignment should look professional and be interesting or attractive, should be accessible to people with disabilities, and should follow good web design principles, and separate styling and coding into external CSS and JavaScript files.
Section 1 - HTML5, CSS, JavaScript
1. Choose a Business to create a Website for. Before progressing, tell you teacher the name and purpose of your business
2. Create a HTML5 page named "sponsors.html"
3. Your page should be divided into 3 sections - a header, a footer, and a main content area:
a. The header should contain your business logo, business name, and navigation buttons.
i. The navigation buttons should be implemented as CSS buttons. There should be at least 2 buttons - one for the home page which will be the main page you create in Section 2 of this assignment, and one that links back to this page ("sponsors.html")
ii. The logo can be one you make yourself or one that you copy from somewhere. Be sure the image is not copyright protected and be sure to keep the file size as small as possible
b. The main content area should contain the content discussed below here in point 6
c. The footer should contain your business' contact details
And don't forget to use appropriate HTML5 tags for the header, footer, main content area, and navigation bar.
4. The 3 sections described above should be wrapped in a parent div and that div should be centred in the middle of the client's viewport.
5. Place an image in the background of your Webpage. Make it an image that stretches to fill the client's viewport and prevent it from scrolling with the Webpage.
6. Pretend that you have companies paying you to advertise on your site - one that wants to use an image and the other a video:
a. The image you use should not breach copyright laws. Clicking on the image should take the user to that fictitious advertiser's site.
Use CSS or JQuery to animate the image in an attention-grabbing way (such as wiggling on page load, or growing on mouse-over)
b. The video should be implemented using the HTML5
7. Use CSS to alter the font family, font size, and font colours in the Webpage.
8. Create other CSS rules as necessary to demonstrate that you have an understanding of Class, ID and Tag rules.
9. Paste into your MS Word document:
a. The URL of your sponsors page
b. 3 screenshots showing you have run your HTML, CSS, and JavaScript through validators
c. All the code you created (but not the JQuery library), and make sure to clearly identify the code with the filename
Section 2 - Creating a Dynamic Site
Choose either one of these options:
Option A: A WordPress shopping cart site
Option B: A Post Office website that allows customers to search for their post box details
Section 2: Option A. - The WordPress shopping cart site
1. Tell your lecturer the type of business you will set up (e.g. a t-shirt site). Then install the latest stable version of WordPress into the folder you created in Section 1. You should be able to access your WordPress site simply by entering that folder name at the end of your domain name e.g.
2. Install a shopping cart plugin, such as WooCommerce
3. Modify the default installation with a new theme (e.g. one from the creators of WooCommerce). Use the theme's customisation tools to modify that theme by changing your site's title, text, and colours in some meaningful way.
4. Create a child theme and use it to alter the CSS of your site in some meaningful way (e.g. change the font type for the entire site, or the background colour for the entire site)
5. Offer at least 2 items for sale, and set their prices unrealistically high (e.g. $1000 for a t-shirt) and make it clear to visitors to your site that it isn't open for business yet
6. Set up the payment options for PayPal
a. Restrict sales to Australian customers only
b. Set up postage costs, making it just one price for everyone in Australia
7. Add a new link in your navigation bar to the sponsors page you created in Section 1
8. Set up a "Contact Us" page by using a WordPress plugin. Customers should be able to enter their email address and a message and press send. Their message should arrive in the email account "[email protected]", which has the password "wmpwmpwmp".
9. Install the WordPress SEO plugin by Yoast and have that plugin create your sitemap.xml file
10. Make your site known to Google using your Google Webmaster account
11. Into the Microsoft Word document you created in Section 1, paste the following:
a. The URL of your WordPress home page
b. Screenshots of your Dashboard's WooCommerce (or other shopping cart) settings:
i. Show that you have restricted sales to Australian customers
ii. Show the payment options that you have set up
== Records of molecules, as found in the file ==
C47H36F2N10Ti as an isolated structure. Source: the OMol25 dataset; level of theory: wB97M-V/def2-TZVPD.

Summary:
F_max ... 0.71 eV Å⁻¹
Energy relative to the best compared isomer or geometry (same formula, charge and spin) ... 134.4 kJ/mol
Spin multiplicity ... 2
LUMO (spin up / spin down) ... 1.847 / 1.839 eV
Charge ... -1

Each line ends with the Löwdin spin population.
CARTESIAN COORDINATES (ANGSTROEM)
Ti 1.76 -0.34 -0.02  0.096
N 0.66 -3.56 -2.81  0.009
C 0.30 -2.40 -2.26  -0.002
N 1.30 -1.96 -1.53  0.018
C 2.27 -2.91 -1.66  0.024
N 1.92 -3.92 -2.44  0.070
C 3.50 -2.67 -0.95  0.142
C 4.58 -3.53 -0.99  -0.004
N 5.73 -3.31 -0.36  0.218
C 5.75 -2.12 0.33  0.070
C 4.71 -1.25 0.39  0.091
N 3.50 -1.49 -0.22  0.234
H 0.14 -4.14 -3.44  0.000
H -0.65 -1.91 -2.44  0.000
H 4.50 -4.43 -1.59  -0.004
H 6.67 -1.87 0.84  0.002
H 4.80 -0.32 0.93  0.004
C 1.88 -3.95 2.88  0.000
C 0.60 -4.43 3.07  0.001
C -0.43 -3.86 2.34  0.001
C -0.14 -2.83 1.45  0.001
N 1.08 -2.33 1.29  0.009
C 2.07 -2.90 1.99  0.003
C -1.21 -2.19 0.66  0.000
C -2.40 -2.83 0.34  0.000
C -3.34 -2.14 -0.41  0.000
C -3.06 -0.84 -0.79  0.000
C -1.83 -0.29 -0.45  0.000
N -0.92 -0.96 0.25  0.001
H 2.73 -4.35 3.41  0.000
H 0.40 -5.21 3.79  0.000
H -1.46 -4.18 2.48  0.000
H 3.05 -2.49 1.84  0.002
H -2.58 -3.86 0.64  0.000
H -4.27 -2.61 -0.69  0.000
H -3.75 -0.26 -1.39  0.000
H -1.55 0.70 -0.77  0.000
F 3.72 0.94 -1.80  0.003
C 3.10 1.32 -0.62  -0.002
F 4.18 1.68 0.21  0.000
H 2.61 2.27 -0.82  0.000
C 2.27 0.49 2.01  -0.002
C 2.00 -0.22 3.27  0.000
C 0.69 -0.39 3.75  0.000
C 0.44 -1.13 4.89  0.000
C 1.49 -1.72 5.60  -0.001
C 2.80 -1.52 5.16  0.000
C 3.04 -0.79 4.02  0.000
C 1.22 -2.52 6.76  0.000
N 1.01 -3.16 7.69  0.000
H 3.32 0.77 1.95  0.000
H 1.66 1.39 1.93  0.000
H -0.12 0.06 3.20  0.000
H -0.58 -1.27 5.23  0.000
H 3.62 -1.96 5.72  0.000
H 4.06 -0.66 3.68  0.001
N -1.74 3.70 0.82  0.000
C -0.66 2.87 0.77  0.000
N -0.81 1.77 1.44  0.000
C -2.09 1.86 1.99  0.000
C -2.80 0.95 2.77  0.000
C -4.09 1.28 3.14  0.000
C -4.68 2.49 2.74  0.000
C -3.99 3.40 1.96  0.000
C -2.69 3.06 1.59  0.000
H -1.85 4.53 0.26  0.000
H 0.21 3.12 0.20  0.000
H -2.35 0.00 3.06  0.000
H -4.67 0.59 3.74  0.000
H -5.69 2.71 3.05  0.000
H -4.45 4.33 1.64  0.000
C 0.84 0.73 -1.46  0.002
C 0.19 1.39 -2.29  0.004
C -0.65 2.07 -3.16  0.003
C -0.55 3.51 -3.30  0.001
C 0.41 4.24 -2.57  0.001
C 0.54 5.61 -2.67  0.000
C -0.28 6.35 -3.52  0.001
C -1.20 5.65 -4.30  0.000
C -1.32 4.27 -4.21  0.001
C -1.67 1.25 -3.83  0.000
C -3.01 1.65 -4.01  0.001
C -3.95 0.81 -4.59  0.000
C -3.61 -0.47 -5.01  0.001
C -2.29 -0.89 -4.85  0.000
C -1.35 -0.04 -4.28  0.001
H 1.10 3.68 -1.95  0.000
H 1.30 6.12 -2.09  0.000
H -0.18 7.42 -3.61  0.000
H -1.82 6.18 -5.01  0.000
H -2.02 3.77 -4.87  0.000
H -3.33 2.62 -3.66  0.000
H -4.97 1.15 -4.69  0.000
H -4.34 -1.13 -5.46  0.000
H -1.98 -1.87 -5.19  0.000
H -0.31 -0.36 -4.19  0.000
iii. Show that you have set-up shipping costs
c. Screenshots of your SEO plugin settings
d. 3 Screenshots showing that you have customised your site's parent theme using the theme's inbuilt customisation options. The 1st screenshot should show how the page looks in its default state, the 2nd should show the settings you changed, and the 3rd the page after the change)
e. The contents of your child theme's CSS file and a screenshot showing that you have activated your child theme
f. 2 Screenshots showing the effect your child theme has on your site (that is, one screenshot for before, and one for after)
g. A screenshot of your Google Webmaster account showing that you have "added" your site and your sitemap file.
Section 2: Option B. - Writing PHP and MySQL code
1. Create MySQL code in Notepad (or similar) that would create a database. Use your own given name in the databases name (e.g. jim_abc123databasename) and within that database create a table called kids that contains the records of at least 10 children, giving each a name, gender, date of birth, and parent name.
2. Paste your MySQL tools into the SQL tool in your Webhost's cPanel to create your table. Your Host may have some control over your database name, but be sure to include your given name as part of the database name. [Note that you may want to create a local copy of your database in your WAMP folder to speed up the development and testing of the HTML/PHP/CSS/JS code that follows]
3. Create the following CSS, JavaScript and PHP files and upload them to the folder you created in Section 1:
a) A HTML5 page named "index.html" that:
1. Displays a